Given.
____________
ZnCrO3 | PBE+U | relaxed

Cell: 3.729 3.729 3.729 Å, 90.00 90.00 90.00°
Fractional coordinates of all 5 atoms:
Zn (0.000, 0.000, 0.000)
Cr (0.500, 0.500, 0.500)
O (0.000, 0.500, 0.500)
O (0.500, 0.000, 0.500)
O (0.500, 0.500, 0.000)

Output
* E_tot: -5.670 eV/atom
____________

Job.
The reader should set down every line above that contains the word "Fractional".

Written answer.
Fractional coordinates of all 5 atoms: